== Source ==
____________
(1)
# PBE-GGA MnIn2Br, relaxed
# Distance to the lowest polymorph of the same formula = 103 meV per atom
data_MnIn2Br
_cell_length_a 3.255
_cell_length_b 5.430
_cell_length_c 5.442
_cell_angle_alpha 91.34
_cell_angle_beta 90.57
_cell_angle_gamma 90.02
_symmetry_space_group_name_H-M 'P -1'
_symmetry_Int_Tables_number 2
loop_
_symmetry_equiv_pos_as_xyz
'x,y,z'
'-x,-y,-z'
loop_
_atom_site_label
_atom_site_type_symbol
_atom_site_fract_x
_atom_site_fract_y
_atom_site_fract_z
Mn1 Mn 0.000 0.000 0.000
In1 In 0.500 0.000 0.500
In2 In 0.500 0.500 0.000
Br1 Br 0.000 0.500 0.500

(2)
# PBE-GGA SiHg2Ir, relaxed
# VASP energy = -14.58 eV for the cell shown
data_SiHg2Ir
_cell_length_a 2.987
_cell_length_b 2.987
_cell_length_c 8.725
_cell_angle_alpha 90.00
_cell_angle_beta 90.00
_cell_angle_gamma 90.00
_symmetry_space_group_name_H-M 'P 4 m m'
_symmetry_Int_Tables_number 99
loop_
_symmetry_equiv_pos_as_xyz
'x,y,z'
'-y,x,z'
'-x,-y,z'
'y,-x,z'
'-x,y,z'
'y,x,z'
'x,-y,z'
'-y,-x,z'
loop_
_atom_site_label
_atom_site_type_symbol
_atom_site_fract_x
_atom_site_fract_y
_atom_site_fract_z
Si1 Si 0.000 0.000 0.000
Hg1 Hg 0.000 0.000 0.599
Hg2 Hg 0.500 0.500 0.282
Ir1 Ir 0.500 0.500 0.855

(3)
# PBE-GGA Pm4Sn2B, relaxed
# ΔH_f (0 K) = -0.449 eV per atom
data_Pm4Sn2B
_cell_length_a 4.984
_cell_length_b 4.984
_cell_length_c 16.669
_cell_angle_alpha 90.00
_cell_angle_beta 90.00
_cell_angle_gamma 90.00
_symmetry_space_group_name_H-M 'I 4/m m m'
_symmetry_Int_Tables_number 139
_symmetry_space_group_name_Hall '-I 4 2'
loop_
_atom_site_label
_atom_site_type_symbol
_atom_site_fract_x
_atom_site_fract_y
_atom_site_fract_z
Pm1 Pm 0.000 0.000 0.168
Pm2 Pm 0.000 0.500 0.000
Sn1 Sn 0.000 0.000 0.362
B1 B 0.000 0.000 0.000

Number 1: V 96.2 Å³/cell. Number 2: V 77.9 Å³/cell. Number 3: V 414.1 Å³/cell.

* * * * *

[1]
A plane-wave DFT calculation with SCAN was carried out for a crystal of Co2Mo relaxed with PBEsol.

extended XYZ file:
```
12
Lattice="5.639 0.000 0.000 0.000 5.639 0.000 0.000 0.000 4.854" Properties=species:S:1:pos:R:3 pbc="T T T"
Co 0.767 2.052 0.000
Co 0.767 3.587 2.427
Co 2.052 0.767 2.427
Co 2.052 4.872 0.000
Co 3.587 0.767 0.000
Co 3.587 4.872 2.427
Co 4.872 2.052 2.427
Co 4.872 3.587 0.000
Mo 0.000 0.000 1.214
Mo 0.000 0.000 3.641
Mo 2.819 2.819 1.214
Mo 2.819 2.819 3.641
```

Calculated values
DFT formation energy = 0.715 eV per atom
E_tot = -22.449 eV per atom
M_tot = 10.250 μB per cell
Space group = I4/mcm

***

[2]
A plane-wave DFT calculation with SCAN was carried out for a crystal of Cs8ZrMo6O24 relaxed with PBEsol.

extended XYZ file:
```
39
Lattice="5.144 -9.702 0.000 5.144 9.702 0.000 -2.614 0.000 7.843" Properties=species:S:1:pos:R:3 pbc="T T T"
Cs 0.380 3.384 4.820
Cs 5.144 6.548 0.000
Cs 0.733 0.000 6.676
Cs 0.380 -3.384 4.820
Cs 7.295 3.384 3.023
Cs 6.941 0.000 1.167
Cs 5.144 -6.548 0.000
Cs 7.295 -3.384 3.023
Zr 3.837 0.000 3.922
Mo 0.442 0.000 2.346
Mo 3.513 2.979 1.690
Mo 4.161 2.979 6.153
Mo 3.513 -2.979 1.690
Mo 4.161 -2.979 6.153
Mo 7.232 0.000 5.497
O 3.128 8.292 5.378
O 1.935 3.325 2.336
O 4.546 8.292 2.465
O 1.235 0.000 0.804
O 0.742 2.792 7.798
O 3.160 4.359 5.760
O 4.514 4.359 2.083
O 1.746 0.000 3.647
O 4.181 1.447 2.453
O 1.935 -3.325 2.336
O 3.493 1.447 5.390
O 0.742 -2.792 7.798
O 6.932 2.792 0.045
O 4.181 -1.447 2.453
O 5.739 3.325 5.508
O 3.493 -1.447 5.390
O 5.929 0.000 4.196
O 3.160 -4.359 5.760
O 4.514 -4.359 2.083
O 6.932 -2.792 0.045
O 6.439 0.000 7.039
O 3.128 -8.292 5.378
O 5.739 -3.325 5.508
O 4.546 -8.292 2.465
```

Calculated values
E_tot = -20.151 eV per atom
E_form (uncorrected) = -2.406 eV per atom
M_tot = 0.409 μB per cell
Space group = C2/m

***

[3]
A plane-wave DFT calculation with SCAN was carried out for a crystal of ZnAg2Au relaxed with PBEsol.

extended XYZ file:
```
4
Lattice="2.902 0.000 0.000 0.000 3.855 0.000 0.000 0.000 5.702" Properties=species:S:1:pos:R:3 pbc="T T T"
Zn 0.000 0.000 0.000
Ag 0.000 0.000 2.851
Ag 1.451 1.928 1.423
Au 1.451 1.928 4.369
```

Calculated values
____________

== Activity ==
It remains to duplicate the data above from the first line to the one with "-20.151 eV" exactly.

== Response ==
(1)
# PBE-GGA MnIn2Br, relaxed
# Distance to the lowest polymorph of the same formula = 103 meV per atom
data_MnIn2Br
_cell_length_a 3.255
_cell_length_b 5.430
_cell_length_c 5.442
_cell_angle_alpha 91.34
_cell_angle_beta 90.57
_cell_angle_gamma 90.02
_symmetry_space_group_name_H-M 'P -1'
_symmetry_Int_Tables_number 2
loop_
_symmetry_equiv_pos_as_xyz
'x,y,z'
'-x,-y,-z'
loop_
_atom_site_label
_atom_site_type_symbol
_atom_site_fract_x
_atom_site_fract_y
_atom_site_fract_z
Mn1 Mn 0.000 0.000 0.000
In1 In 0.500 0.000 0.500
In2 In 0.500 0.500 0.000
Br1 Br 0.000 0.500 0.500

(2)
# PBE-GGA SiHg2Ir, relaxed
# VASP energy = -14.58 eV for the cell shown
data_SiHg2Ir
_cell_length_a 2.987
_cell_length_b 2.987
_cell_length_c 8.725
_cell_angle_alpha 90.00
_cell_angle_beta 90.00
_cell_angle_gamma 90.00
_symmetry_space_group_name_H-M 'P 4 m m'
_symmetry_Int_Tables_number 99
loop_
_symmetry_equiv_pos_as_xyz
'x,y,z'
'-y,x,z'
'-x,-y,z'
'y,-x,z'
'-x,y,z'
'y,x,z'
'x,-y,z'
'-y,-x,z'
loop_
_atom_site_label
_atom_site_type_symbol
_atom_site_fract_x
_atom_site_fract_y
_atom_site_fract_z
Si1 Si 0.000 0.000 0.000
Hg1 Hg 0.000 0.000 0.599
Hg2 Hg 0.500 0.500 0.282
Ir1 Ir 0.500 0.500 0.855

(3)
# PBE-GGA Pm4Sn2B, relaxed
# ΔH_f (0 K) = -0.449 eV per atom
data_Pm4Sn2B
_cell_length_a 4.984
_cell_length_b 4.984
_cell_length_c 16.669
_cell_angle_alpha 90.00
_cell_angle_beta 90.00
_cell_angle_gamma 90.00
_symmetry_space_group_name_H-M 'I 4/m m m'
_symmetry_Int_Tables_number 139
_symmetry_space_group_name_Hall '-I 4 2'
loop_
_atom_site_label
_atom_site_type_symbol
_atom_site_fract_x
_atom_site_fract_y
_atom_site_fract_z
Pm1 Pm 0.000 0.000 0.168
Pm2 Pm 0.000 0.500 0.000
Sn1 Sn 0.000 0.000 0.362
B1 B 0.000 0.000 0.000

Number 1: V 96.2 Å³/cell. Number 2: V 77.9 Å³/cell. Number 3: V 414.1 Å³/cell.

* * * * *

[1]
A plane-wave DFT calculation with SCAN was carried out for a crystal of Co2Mo relaxed with PBEsol.

extended XYZ file:
```
12
Lattice="5.639 0.000 0.000 0.000 5.639 0.000 0.000 0.000 4.854" Properties=species:S:1:pos:R:3 pbc="T T T"
Co 0.767 2.052 0.000
Co 0.767 3.587 2.427
Co 2.052 0.767 2.427
Co 2.052 4.872 0.000
Co 3.587 0.767 0.000
Co 3.587 4.872 2.427
Co 4.872 2.052 2.427
Co 4.872 3.587 0.000
Mo 0.000 0.000 1.214
Mo 0.000 0.000 3.641
Mo 2.819 2.819 1.214
Mo 2.819 2.819 3.641
```

Calculated values
DFT formation energy = 0.715 eV per atom
E_tot = -22.449 eV per atom
M_tot = 10.250 μB per cell
Space group = I4/mcm

***

[2]
A plane-wave DFT calculation with SCAN was carried out for a crystal of Cs8ZrMo6O24 relaxed with PBEsol.

extended XYZ file:
```
39
Lattice="5.144 -9.702 0.000 5.144 9.702 0.000 -2.614 0.000 7.843" Properties=species:S:1:pos:R:3 pbc="T T T"
Cs 0.380 3.384 4.820
Cs 5.144 6.548 0.000
Cs 0.733 0.000 6.676
Cs 0.380 -3.384 4.820
Cs 7.295 3.384 3.023
Cs 6.941 0.000 1.167
Cs 5.144 -6.548 0.000
Cs 7.295 -3.384 3.023
Zr 3.837 0.000 3.922
Mo 0.442 0.000 2.346
Mo 3.513 2.979 1.690
Mo 4.161 2.979 6.153
Mo 3.513 -2.979 1.690
Mo 4.161 -2.979 6.153
Mo 7.232 0.000 5.497
O 3.128 8.292 5.378
O 1.935 3.325 2.336
O 4.546 8.292 2.465
O 1.235 0.000 0.804
O 0.742 2.792 7.798
O 3.160 4.359 5.760
O 4.514 4.359 2.083
O 1.746 0.000 3.647
O 4.181 1.447 2.453
O 1.935 -3.325 2.336
O 3.493 1.447 5.390
O 0.742 -2.792 7.798
O 6.932 2.792 0.045
O 4.181 -1.447 2.453
O 5.739 3.325 5.508
O 3.493 -1.447 5.390
O 5.929 0.000 4.196
O 3.160 -4.359 5.760
O 4.514 -4.359 2.083
O 6.932 -2.792 0.045
O 6.439 0.000 7.039
O 3.128 -8.292 5.378
O 5.739 -3.325 5.508
O 4.546 -8.292 2.465
```

Calculated values
E_tot = -20.151 eV per atom